Thanks to funding from the Menorah Heritage Foundation and help from dozens of volunteers, BikeWalkKC embarked on a comprehensive review of Gillham Road in 2022. We collected qualitative and quantitative data to help evaluate the Gillham Road Complete Streets project, which represents one of the most extensive implementation efforts of protected bike lanes in the City of Kansas City, Missouri’s (KCMO) complete streets policy.
In total, 338 surveys were completed, either administered in person by volunteers or taken online. Survey respondents were clear about many things, but one in particular stands out: the Gillham Cycle Track influences their decision to bike.
People love it and feel safer with it. They go out of their way to use it. It lets them replace car trips and they want it extended in all directions. But bad driver behavior is a big problem. People want better maintenance, regular cleaning and stronger separation from cars.
Before the cycle track, I was terrified. Once they put this in I bike to work. I wish there were more trails like this around the city.
The Gillham Complete Streets Report was finalized in April 2023. Key takeaways from the report include:
Gillham Road is well used by both people who walk and bike. It has a higher rate of people walking and biking than city streets in general.
- On weekdays, up to 1,087 people walk and up to 215 people bike on Gillham at the busiest intersection (Armour Boulevard). These figures represent 6.0% of all traffic, much higher than the city-wide work commute rate of 1.8% (ACS 2021).
- On weekends, 733 people walk and 355 people bike at the busiest intersection. (Unfortunately, the US Census does not collect data on non-work bike/ped trips.)
- Armour Boulevard is the busiest intersection for both walking and biking, especially on the weekends.
(Next to the piece, the page also holds calculated molecules)
- - -
95
Properties=species:S:1:pos:R:3 method="wB97M-V/def2-TZVPD" energy_ha=-5962.278488 homo_lumo_gap_ev="3.273 / 5.335" spin_multiplicity=2 total_charge=-2 lumo_energy_ev="3.96 / 3.96"
K 0.943 -0.562 -0.995
N 5.625 -2.811 -1.992
C 4.403 -2.251 -1.543
S 3.640 -1.157 -2.660
N 4.055 -2.649 -0.363
N 2.829 -2.249 0.118
C 2.634 -2.593 1.396
C 3.759 -3.124 2.220
C 3.696 -4.382 2.816
C 4.742 -4.870 3.591
C 5.883 -4.106 3.786
C 5.963 -2.849 3.193
C 4.919 -2.371 2.420
C 1.360 -2.433 2.013
C 1.180 -2.568 3.427
C -0.057 -2.433 3.990
C -1.170 -2.144 3.171
C -0.911 -1.964 1.821
N 0.272 -2.080 1.233
H 6.113 -2.174 -2.603
H 6.183 -3.121 -1.206
H 2.807 -4.982 2.664
H 4.664 -5.854 4.040
H 6.702 -4.483 4.388
H 6.850 -2.241 3.333
H 4.988 -1.399 1.947
H 2.036 -2.762 4.059
H -0.170 -2.532 5.066
H -2.170 -2.016 3.566
H -1.736 -1.691 1.162
C -6.389 1.153 3.241
C -5.122 0.308 3.425
C -5.508 -1.176 3.512
C -4.464 0.704 4.747
C -4.187 0.522 2.235
C -2.909 1.043 2.372
C -2.108 1.186 1.257
Br -0.344 1.819 1.491
C -2.532 0.817 -0.015
O -1.603 0.867 -1.033
C -3.810 0.278 -0.183
C -4.602 0.165 0.959
C -4.433 -0.188 -1.512
C -4.978 -1.616 -1.338
C -5.585 0.771 -1.849
C -3.489 -0.224 -2.717
H -7.073 1.003 4.082
H -6.915 0.885 2.323
H -6.137 2.214 3.182
H -6.170 -1.347 4.367
H -4.618 -1.796 3.632
H -6.025 -1.507 2.611
H -5.162 0.526 5.569
H -4.193 1.762 4.758
H -3.563 0.117 4.934
H -2.502 1.313 3.335
H -5.601 -0.235 0.842
H -5.750 -1.687 -0.570
H -4.171 -2.301 -1.071
H -5.414 -1.955 -2.281
H -6.350 0.776 -1.068
H -6.057 0.471 -2.790
H -5.196 1.785 -1.957
H -2.619 -0.855 -2.551
H -3.139 0.770 -2.988
H -4.047 -0.630 -3.567
N -0.152 -0.831 -3.704
C 0.417 0.116 -4.021
C 1.117 1.299 -4.461
C 2.454 1.192 -4.838
C 3.121 2.321 -5.286
C 2.459 3.538 -5.363
C 1.131 3.638 -4.969
C 0.452 2.523 -4.506
H 2.962 0.240 -4.746
H 4.166 2.247 -5.561
H 2.984 4.419 -5.716
H 0.622 4.594 -5.001
H -0.559 2.583 -4.124
C 5.277 4.268 -2.698
C 4.294 3.432 -1.925
C 4.675 2.265 -1.287
C 3.717 1.509 -0.622
N 2.437 1.857 -0.553
C 2.064 2.980 -1.172
C 2.950 3.791 -1.858
H 6.293 3.892 -2.579
H 5.252 5.309 -2.371
H 5.030 4.251 -3.762
H 5.697 1.909 -1.335
H 3.988 0.573 -0.147
H 1.005 3.216 -1.134
H 2.587 4.683 -2.355
S -2.370 3.301 -1.554
C -1.340 2.005 -1.795
- - -
I feel much safer riding on the protected path, especially with my 2 year old.
The Gillham Cycle Track has a big impact on how people get around. People feel safer, are using it more than before, and are reducing their car trips thanks to it.
- 80% feel safer with the protection from cars
- 73% go out of their way to use it
- 68% would have driven a car without it
- 63% were not traveling on Gillham before it
I use the cycle track to get to and from work so I go a little out of the way to get there just to use it
People use the Gillham Cycle Track for many reasons. Top reasons: recreation, exercise, commuting to work, and shopping/running errands.
- On the weekends, people use the cycle track more than the national averages for walking and biking.
- It’s more than bikes. People use the cycle track to walk, run, and to use assistive mobility.
I live in Waldo but my friend lives in Hyde park so I will often go up specifically so we can run together using the lanes.
Driver behavior was the biggest problem observed at all locations and times of day.
- Not yielding to people walking/biking who had the right of way
- Making illegal left turns
- Running red lights
- Ignoring “no right on red” signs
- Parking in the cycle track, forcing people into traffic to go around
Other issues identified include:
- Need for better maintenance and cleaning of debris, such as trash, tree limbs, and glass
- Desire to extend the cycle track north/south and east/west
- Improved cycle track infrastructure including wayfinding signage, driver awareness signage, pedestrian-scaled lighting, bike and pedestrian signal priority, etc.
- Stronger physical separation between bikes and cars, such as grade separation
- Raised crosswalks to improve pedestrian safety and further slow drivers
- Removal of slip lanes that allow cars to make dangerous right-hand turns across the cycle track
The next time someone says: “Nobody uses the bike lanes in Kansas City”, you now have the data to prove them wrong. People DO use them, and they want more of them.